Iron tips - page 3

About the UPS - don't forget to take a bit more watts than the total load.
Otherwise, I took an even one and it couldn't hold 2 computers))

You have to be able to handle the peak load even for one, not to mention two.

If you take 500-525 APCs for example, the maximum load they can handle in normal operation is about 350 watts.

But the load should be no more than 200-250 watts for them to work properly. That way the UPS will hold a PC long enough and the battery will have to be replaced as planned - in 3 years.

And I would take WD, I have 2 - in a laptop and an external. They work Hurrah, no bad sectors, and low power consumption)).
The only thing I say, do not take samsung - in my practice of dealing with computers was as much as 3 cases of breakage hdd, and all samsungs (different people, laptops and conventional).

I don't - I replaced Hitachi in all my HDDs. I will leave any shop which advises something else at once, and I won't go there again.

In any case, regardless of the manufacturer you must buy not less than 500 Mb disk (if needed you can insert an additional one).


Disks in laptops or netbooks is another matter. Here we have to think at once what and how we take. We have 320gb for a notebook, the usual size...


This is the kind of thing I would take if the kit was cheaper

Then you can buy a decent video card and you can play games :)


On this topic I have a very interesting, but apparently specific, situation. In my residential area, the networks are very weak (private sector in Tver). When someone uses a welder, the lights flash and almost go out. The stationary copm starts switching over endlessly. And nothing helps: neither the stabiliser, nor the UPS. Apparently, the surges are so high that they exceed all tolerances. Therefore, I work only on a laptop (it does not care, everything goes through the adapter, and it does not react). And I want to have a stationary - can anyone have any ideas? Can, of course, through a battery with an inverter and charger to feed, but maybe something more decent is?

The most ideal variant in this situation is as follows. First, you lower the mains voltage and rectify it to 12 volts. Then we convert this DC voltage to AC again and increase it to 250 volt. This, the power part of the electronics is made elementary of two powerful transformers and Soviet, powerful transistors. Now we have to add quick response electronics on modern fused transistors for instant transfer at voltage dropout the second inverter supply from the first inverter to the car battery. The circuit will run like clockwork to infinity. It's not a big deal. The efficiency is just a little bit lower.
The most ideal option in such a situation is as follows. First you lower the mains voltage and rectify it to 12 volts. Then we convert this DC voltage to AC again and increase it to 250 volt. This, the power part of the electronics is made elementary of two powerful transformers and Soviet, powerful transistors. Now we have to add quick response electronics on modern fused transistors for instant transfer at voltage dropout the second inverter supply from the first inverter to the car battery. The circuit will run like clockwork to infinity. It's not a big deal. Only the efficiency will be less.
Speaking of laptops, and indeed, take a laptop, and it will be all the same.

(These crystal structures were left in the entry by mistake)
____________
The following is a GGA+U calculation of crystalline BaTb2Mo4O16 at its relaxed geometry, from Alexandria.

Cell lengths 6.8921, 6.8921, 19.9861 Å; angles 89.23, 89.23, 134.70 degrees
Atoms (fractional coordinates):
Mo 0.9522 0.0716 0.9105
O 0.5655 0.0870 0.0662
Tb 0.3492 0.6458 0.4688
O 0.0870 0.5655 0.5662
O 0.9667 0.8005 0.3326
O 0.7218 0.7574 0.9644
O 0.4873 0.7604 0.6716
O 0.9906 0.3315 0.9568
Tb 0.3542 0.6508 0.0312
Tb 0.6508 0.3542 0.5312
Ba 0.5307 0.4693 0.7500
Mo 0.7595 0.2421 0.1455
O 0.9130 0.4345 0.4338
O 0.1141 0.4174 0.1308
O 0.0119 0.3960 0.2914
Mo 0.0716 0.9522 0.4105
O 0.0094 0.6685 0.0432
O 0.8005 0.9667 0.8326
Mo 0.0478 0.9284 0.0895
Mo 0.2405 0.7579 0.8545
O 0.6040 0.9881 0.2086
O 0.7604 0.4873 0.1716
O 0.6685 0.0094 0.5432
O 0.8859 0.5826 0.8692
Mo 0.2421 0.7595 0.6455
Ba 0.4693 0.5307 0.2500
O 0.2396 0.5127 0.8284
O 0.1796 0.2762 0.4004
O 0.5826 0.8859 0.3692
O 0.3960 0.0119 0.7914
O 0.8204 0.7238 0.5996
Mo 0.7579 0.2405 0.3545
O 0.2762 0.1796 0.9004
O 0.1995 0.0333 0.1674
O 0.5127 0.2396 0.3284
O 0.0333 0.1995 0.6674
O 0.4345 0.9130 0.9338
Mo 0.9284 0.0478 0.5895
O 0.4174 0.1141 0.6308
Tb 0.6458 0.3492 0.9688
O 0.3315 0.9906 0.4568
O 0.7574 0.7218 0.4644
O 0.9881 0.6040 0.7086
O 0.7238 0.8204 0.0996
O 0.2426 0.2782 0.5356
O 0.2782 0.2426 0.0356

Calculated values
- raw total energy (eV per atom) = -7.415
- symmetry = No. 15
- crystal system = monoclinic
- volume (Å³/atom) = 14.7
____________

And UPS's often don't respond to a smooth voltage drop, a stabiliser may help a little, but not always.

At the expense of your circuit, high-power diodes and transistors are now worth a lot (and Soviet-type need somewhere to unsolder), I doubt that the author, radioelectronic engineer with experience, otherwise burn a computer. :)

Speaking of laptops, and indeed, take a laptop, and it will be all the same.

And UPS's often don't respond to a smooth voltage drop, a regulator can help a bit, but not always.

As for your scheme, high-power diodes and transistors are expensive these days (and the USSR ones need to be soldered out from somewhere), I doubt that the author, radioelectrician with experience, otherwise, will burn the computer. :)

If a person has to do it and needs it, he'll figure it out! It's not that complicated. But welding surge voltage is a pain to get rid of, and you'd have to pay a lot to get rid of it. As for the transistors, even on a mosfet or IGBT such a thing wouldn't cost much. I'd build one myself in three days if there was a problem!
If a person has a problem and needs it, he'll figure it out! It's not that complicated. But welding surge voltage is a pain to get rid of. As for the transistors, even on a mosfet or IGB it doesn't cost much.
A person who does not know the difference between the diode and the resistor, it can be soldered in a month, and not the fact that it will work :)
In that case, it is easier to buy a UPS, for example, as for ATMs, they come with a stabilizer and batteries.
A person who doesn't know the difference between a diode and a resistor can solder this in a month, but not for sure it will work :)
It is easier to buy a UPS, such as the one for ATMs, which comes with a stabilizer and batteries.

There are simply solutions to problems and nothing more!



that's the most important thing.

you can't do anything with a 10 inch beech

i have a 17 inch laptop + 22 monitor

I'm not complaining.

one of them writes code on the other.

That's how I learned to program.

i already know about 10 syntaxes

you don't have enough for 10 inches to open the help + editor + terminal.

but if i were you i'd get a desktop computer with water jet.

The markets require an informed decision.

a calm and comfortable environment.

a year ago i was also thinking about what to get, i got a toshiba satego laptop

now i would probably take a desktop with vidyuha for 4 monitors.

I had to buy and modify the cooling system.

I would have gone for the big monitor and a powerful processor!

I don't really think the Beech is just for show.

The only thing you can do with it is to listen to music and check your e-mail.



To be honest with you, I don't think the beech is a gimmicky thing.

The same is true of laptop beacons, and they are not much more expensive.

I am of the same opinion, moreover, notebooks are not much more expensive.